(To do)
Say how many lines of the rows underneath hold the word "Np", as a bare number.

(Given)
/*
1.
MgMn2P2O8F2: optimized geometry, PBE with a Hubbard U.

E (MP2020)	-114.297	eV per formula unit
SG	P-1 (2)
volume	183.2	Å³ per cell
energy above the most stable polymorph in this dataset	0.000	eV per atom
spin magnetization	8.000	μB per formula unit

Cell: 5.1467 5.4285 7.3305 Å, 109.51 106.76 91.42°
Last column: nearest neighbours and their distance in Å.
Element x y z (fractional)
Mg1 0.0000 0.0000 0.0000  2 F 1.96, 4 O 2.08-2.11
Mn1 0.0000 0.5000 0.0000  4 O 1.97, 2 F 2.15
Mn2 0.5000 0.0000 0.5000  4 O 1.95-2.00, 2 F 2.18
P1 0.3960 0.5932 0.7452  4 O 1.52-1.58
P2 0.6040 0.4068 0.2548  4 O 1.52-1.58
O1 0.1908 0.6768 0.8706  1 P 1.57
O2 0.3049 0.3164 0.0988  1 P 1.58
O3 0.3400 0.2914 0.6476  1 P 1.53
O4 0.3502 0.7466 0.6007  1 P 1.52
O5 0.6498 0.2534 0.3993  1 P 1.52
O6 0.6600 0.7086 0.3524  1 P 1.53
O7 0.6951 0.6836 0.9012  1 P 1.58
O8 0.8092 0.3232 0.1294  1 P 1.57
F1 0.1369 0.8837 0.2328  1 Mg 1.96, 2 Mn 2.15-2.18
F2 0.8631 0.1163 0.7672  1 Mg 1.96, 2 Mn 2.15-2.18

2.
Li9Mn2Co5O16: optimized geometry, PBE with a Hubbard U.

E (MP2020)	-207.991	eV per formula unit
SG	P-1 (2)
volume	289.7	Å³ per cell
energy above the most stable polymorph in this dataset	0.059	eV per atom
spin magnetization	8.000	μB per formula unit

Cell: 5.8694 5.9250 9.7533 Å, 99.64 90.21 119.46°
Last column: nearest neighbours and their distance in Å.
Element x y z (fractional)
Li1 0.0000 0.0000 0.0000  6 O 2.09-2.16
Li2 0.0000 0.5000 0.0000  6 O 2.14-2.19
Li3 0.1310 0.2458 0.7670  4 O 2.04-2.26
Li4 0.2493 0.9999 0.5001  6 O 2.11-2.16
Li5 0.3740 0.7541 0.2425  3 O 1.99-2.02
Li6 0.5000 0.5000 0.0000  6 O 2.09-2.20
Li7 0.6260 0.2459 0.7575  3 O 1.99-2.02
Li8 0.7507 0.0001 0.4999  6 O 2.11-2.16
Li9 0.8690 0.7542 0.2330  4 O 2.04-2.26
Mn1 0.2501 0.5000 0.5007  6 O 1.92-1.97
Mn2 0.7499 0.5000 0.4993  6 O 1.92-1.97
Co1 0.1230 0.7534 0.7616  6 O 1.92-2.13
Co2 0.3616 0.2337 0.2381  3 O 1.85-2.03
Co3 0.5000 0.0000 0.0000  6 O 1.97-2.08
Co4 0.6384 0.7663 0.7619  3 O 1.85-2.03
Co5 0.8770 0.2466 0.2384  6 O 1.92-2.13
O1 0.0510 0.6056 0.3889  2 Mn 1.96-1.97, 1 Li 2.11, 1 Co 2.13
O2 0.0757 0.1537 0.3773  1 Mn 1.95, 2 Co 2.08-2.09, 2 Li 2.14
O3 0.1842 0.3809 0.1395  2 Co 1.92-1.98, 2 Li 1.99-2.14
O4 0.1996 0.8960 0.1310  1 Co 1.85, 2 Li 2.02-2.04
O5 0.3185 0.1018 0.8732  2 Co 1.92-1.97, 3 Li 2.02-2.13
O6 0.3206 0.6311 0.8730  3 Co 2.03-2.06, 3 Li 2.05-2.14
O7 0.4195 0.8411 0.6220  1 Mn 1.92, 2 Co 2.11-2.13, 1 Li 2.14
O8 0.4495 0.3969 0.6119  2 Mn 1.96-1.97, 1 Li 2.12, 1 Co 2.17
O9 0.5505 0.6031 0.3881  2 Mn 1.96-1.97, 1 Li 2.12, 1 Co 2.17
O10 0.5805 0.1589 0.3780  1 Mn 1.92, 2 Co 2.11-2.13, 1 Li 2.14
O11 0.6794 0.3689 0.1270  3 Co 2.03-2.06, 3 Li 2.05-2.14
O12 0.6815 0.8982 0.1268  2 Co 1.92-1.97, 3 Li 2.02-2.13
O13 0.8004 0.1040 0.8690  1 Co 1.85, 2 Li 2.02-2.04
O14 0.8158 0.6191 0.8605  2 Co 1.92-1.98, 2 Li 1.99-2.14
O15 0.9243 0.8463 0.6227  1 Mn 1.95, 2 Co 2.08-2.09, 2 Li 2.14
O16 0.9490 0.3944 0.6111  2 Mn 1.96-1.97, 1 Li 2.11, 1 Co 2.13

* * * * *

VASP calculation (PBE) on a relaxed structure of Zn2RhAu.

abc: 6.1987 6.1987 6.1987
angles: 90.00 90.00 90.00
With the nearest neighbours (Å) after each atom.
Space group Fm-3m (No. 225)
One atom of each set of equivalent atoms:
Zn1 0.2500 0.2500 0.2500 [8 per cell]  4 Rh 2.68, 4 Au 2.68
Rh1 0.0000 0.0000 0.0000 [4 per cell]  8 Zn 2.68
Au1 0.0000 0.0000 0.5000 [4 per cell]  8 Zn 2.68

Calculated values
**Raw total energy**: -57.7 eV per cell
**Energy relative to the elements**: -0.315 eV/atom

* * * * *

Record 1
Ba3Sr3Np2, optimized geometry, DFT PBE-GGA; E_form = 0.6643 eV/atom; electronic total energy = -3.926 eV/atom; magnetization = 10.322 μB/f.u.; density = 5.0 g/cm3
1.0
6.474 0.000 0.000
0.000 6.474 0.000
0.000 0.000 9.164
Ba Sr Np
3 3 2
Direct
0.000 0.000 0.500
0.000 0.000 0.000
0.500 0.500 0.000
0.000 0.500 0.749
0.500 0.000 0.251
0.500 0.500 0.500
0.000 0.500 0.251
0.500 0.000 0.749


Record 2
*/

(Result)
1